+++
119
Properties=species:S:1:pos:R:3 method="wB97M-V/def2-TZVPD" homo_lumo_gap_ev=5.59 energy_ev=-189709.2595 de_lowest_kcal_mol=32.70 homo_energy_ev=-9.58 charge=+1
C -2.976 0.554 5.041
H -0.957 -3.750 -6.689
H 3.719 -1.382 2.515
H -4.041 1.548 -5.419
H 3.067 -4.285 5.576
H -1.830 -5.046 -2.271
H -1.547 -2.447 4.486
P -0.013 0.320 -2.841
H 0.396 0.180 -5.728
H 4.416 -2.464 4.604
H -1.499 2.382 -0.314
H 3.773 2.241 3.809
Br -2.403 -2.811 1.590
H 5.203 1.829 -4.570
N -3.572 3.987 0.114
Si -0.640 0.021 3.335
C -2.940 2.503 1.926
H -0.225 3.482 0.256
H 4.161 -1.874 -0.224
H -0.005 -1.580 -7.398
C -1.969 -4.255 -1.540
Sn -1.269 -0.930 0.342
C -0.227 -1.027 -4.068
C 4.202 1.570 -4.259
H 4.813 -0.205 -3.233
H -3.330 -3.149 5.990
C -3.123 3.270 -4.541
H 0.546 4.344 5.654
H -3.212 1.635 1.322
H -1.396 -4.184 -4.331
C 1.618 0.904 -3.465
H -3.673 4.555 2.151
O -2.768 -0.371 -1.949
O -3.452 1.769 -1.388
C 1.208 -3.643 2.835
C -0.989 -3.228 -4.622
H -4.689 0.893 6.273
C -2.159 4.395 -0.067
C 3.120 -2.179 2.934
C 1.602 -4.242 4.014
H -1.987 4.620 -1.121
C 3.453 -4.840 -1.176
C 2.260 3.418 4.771
C 2.755 -3.812 4.656
C -3.995 0.157 5.886
C 1.827 -3.234 -0.425
C 2.997 1.750 0.368
P 1.327 -1.924 0.739
H 3.053 -5.727 -3.086
Si -0.742 -2.801 -1.828
H -3.102 2.245 2.969
C -4.136 -1.179 6.226
C 4.720 0.186 -0.212
Cl -3.776 0.365 -1.302
C -3.856 3.670 1.533
H 5.010 2.303 -0.109
H -4.941 -1.498 6.869
C 3.132 2.368 -4.626
N -1.536 2.783 1.714
C -1.277 3.212 0.360
H -1.021 2.662 4.830
C -1.199 1.495 -3.584
C 2.700 0.104 -3.106
C -0.748 -2.984 -5.960
H 4.371 -5.383 -1.014
C -0.706 -2.266 -3.655
C -3.220 1.919 -4.825
H 3.562 -3.826 0.703
C 2.721 2.340 4.035
C 2.521 -0.607 0.339
C 1.969 -2.612 2.289
H -1.834 -4.688 -0.553
C -2.271 1.038 -4.345
C 1.040 -3.474 -1.550
C 1.844 2.037 -4.235
C 3.006 -3.948 -0.220
H 2.678 2.763 0.567
C -3.238 -2.108 5.729
H -2.996 -3.904 -1.606
H -1.957 5.282 0.541
O -5.035 0.114 -1.820
C -2.079 -0.371 4.506
H -3.864 3.956 -4.921
C 1.836 1.375 3.594
C 3.508 -2.785 4.115
C 2.104 0.706 0.519
H -3.684 3.100 -0.450
H -2.377 -0.014 -4.553
C 3.982 0.428 -3.506
H 0.304 -3.961 2.335
C 0.024 2.568 4.584
O -3.716 0.061 0.097
H 2.532 -0.791 -2.520
H 0.916 -4.571 -3.376
C 4.308 1.490 0.005
C -1.128 2.849 -3.272
H 1.016 2.655 -4.550
C 3.833 -0.861 -0.049
H 3.303 3.248 -5.229
C -2.227 -1.708 4.877
H 2.216 0.517 3.060
C 0.909 3.523 5.055
H 5.742 -0.020 -0.487
H 1.079 0.907 0.814
H -4.899 3.374 1.642
H 1.017 -5.050 4.421
C 0.470 1.475 3.845
H -4.219 4.684 -0.263
H 2.949 4.167 5.130
C 2.712 -5.036 -2.330
H -0.311 3.212 -2.658
+++

Say how many lines of the lines further above hold the word "charge", as a bare number.

1